Associate Professor and WRTC Graduate Program Director
The piece is interrupted by calculated crystals
........
Calculated powder X-ray diffraction pattern
Compound: Y3ScSn2
Radiation: copper Kα
Structure: a crystal structure in Alexandria, relaxed with PBE
Intensities are scaled so that the largest is 100.

Largest 12 diffraction maxima, sorted by position, 10 to 80 degrees two-theta:
- d = 4.160 Å, 21.4 deg, I = 15
- d = 3.170 Å, 28.2 deg, I = 41
- d = 2.962 Å, 30.2 deg, I = 62
- d = 2.771 Å, 32.3 deg, I = 29
- d = 2.521 Å, 35.6 deg, I = 100
- d = 2.357 Å, 38.2 deg, I = 32
- d = 2.241 Å, 40.2 deg, I = 59
- d = 1.743 Å, 52.5 deg, I = 28
- d = 1.624 Å, 56.7 deg, I = 21
- d = 1.559 Å, 59.3 deg, I = 17
- d = 1.342 Å, 70.1 deg, I = 27
- d = 1.280 Å, 74.1 deg, I = 17

```
data_Y3ScSn2
_chemical_formula_sum 'Y12 Sc4 Sn8'
_cell_length_a 6.3467
_cell_length_b 16.6255
_cell_length_c 6.3331
_cell_angle_alpha 90.00
_cell_angle_beta 90.00
_cell_angle_gamma 90.00
_space_group_name_H-M_alt 'I b a m'
_space_group_IT_number 72
_space_group_name_Hall '-I 2 2c'
loop_
_atom_site_label
_atom_site_type_symbol
_atom_site_fract_x
_atom_site_fract_y
_atom_site_fract_z
Y1 Y 0.0000 0.0000 0.2500
Y2 Y 0.2489 0.1735 0.0000
Sc1 Sc 0.0000 0.5000 0.2500
Sn1 Sn 0.2418 0.3643 0.0000
```

***

Calculated powder X-ray diffraction pattern
Compound: Ho6Cd2NO
Radiation: copper Kα
Structure: a crystal structure in Alexandria, relaxed with PBE
Intensities are scaled so that the largest is 100.

Largest 9 diffraction maxima, sorted by position, 10 to 80 degrees two-theta:
- d = 4.782 Å, 18.6 deg, I = 4
- d = 3.381 Å, 26.4 deg, I = 1
- d = 2.761 Å, 32.4 deg, I = 100
- d = 2.391 Å, 37.6 deg, I = 56
- d = 2.138 Å, 42.3 deg, I = 2
- d = 1.691 Å, 54.3 deg, I = 38
- d = 1.594 Å, 57.8 deg, I = 1
- d = 1.442 Å, 64.6 deg, I = 41
- d = 1.380 Å, 67.9 deg, I = 13

```
data_Ho6Cd2NO
_chemical_formula_sum 'Ho24 Cd8 N4 O4'
_cell_length_a 9.5636
_cell_length_b 9.5636
_cell_length_c 9.5636
_cell_angle_alpha 90.00
_cell_angle_beta 90.00
_cell_angle_gamma 90.00
_space_group_name_H-M_alt 'F m -3 m'
_space_group_IT_number 225
_space_group_name_Hall '-F 4 2 3'
loop_
_atom_site_label
_atom_site_type_symbol
_atom_site_fract_x
_atom_site_fract_y
_atom_site_fract_z
Ho1 Ho 0.0000 0.0000 0.2477
Cd1 Cd 0.2500 0.2500 0.2500
N1 N 0.0000 0.0000 0.0000
O1 O 0.0000 0.0000 0.5000
```

***

Calculated powder X-ray diffraction pattern
Compound: Pm9YAl2
Radiation: copper Kα
Structure: a crystal structure in Alexandria, relaxed with PBE
Intensities are scaled so that the largest is 100.

Largest 12 diffraction maxima, sorted by position, 10 to 80 degrees two-theta:
- d = 5.032 Å, 17.6 deg, I = 4
- d = 4.923 Å, 18.0 deg, I = 8
- d = 3.519 Å, 25.3 deg, I = 7
- d = 2.863 Å, 31.2 deg, I = 100
- d = 2.516 Å, 35.7 deg, I = 16
- d = 2.462 Å, 36.5 deg, I = 34
- d = 1.760 Å, 52.0 deg, I = 22
- d = 1.741 Å, 52.6 deg, I = 12
- d = 1.511 Å, 61.3 deg, I = 12
- d = 1.487 Å, 62.4 deg, I = 27
- d = 1.432 Å, 65.2 deg, I = 11
- d = 1.231 Å, 77.6 deg, I = 4

```
data_Pm9YAl2
_chemical_formula_sum 'Pm9 Y1 Al2'
_cell_length_a 4.9234
........
End of the calculated crystals
Year Started at JMU: 2016
Contact Info
Website: https://www.linkedin.com/in/lori-dehertogh/
Ph.D., English, Specialization in Scientific and Technical Communication, Washington State University, 2015
M.A., English, Appalachian State University, 2008
B.A., English, University of Southern Mississippi, 2004
Professional Focuses
healthcare communication; women’s health; scientific and technical writing; content strategy; project management
Special Journal Issues Edited
Novotny, M., De Hertogh, L.B., & Frost, E. (2020). Rhetorics of reproductive justice in civic and public contexts. Reflections: A Journal of Community-Engaged Writing and Rhetoric, 20(2).
DiCaglio, S. & De Hertogh, L.B. (2019). Rhetorical pasts, rhetorical futures: Reflecting on the legacy of Our Bodies, Ourselves and the future of feminist health literacy. Peitho: Journal of the Coalition of Feminist Scholars in the History of Rhetoric and Composition, 22(3).
Refereed Journal Articles
Novotny, M. & De Hertogh, L.B. (2022). A dialogue on situating reproductive justice in rhetorics of health & medicine. Rhetoric of Health & Medicine, 5(4).
De Hertogh, L.B. & DeVasto D. (2022). Shaping a participatory health communication pedagogy with ux and patient-agency. Rhetoric of Health & Medicine, 4(4).
De Hertogh, L.B., Novotny, M., & Harper, K. (2020) Annotated bibliography of rhetorics of reproductive justice. Reflections: A Journal of Community-Engaged Writing and Rhetoric, 20(2)
Lane, L., De Hertogh, L.B., Ouellette, J. (2020). Feminist citational mapping as recovery and reconsideration: A methodology for analyzing citational practices. Peitho: Journal of the Coalition of Feminist Scholars in the History of Rhetoric and Composition, 22(3).
McCarthy, S., De Hertogh, L.B., & Rouillon, V. (2020). The role of curation in tenure and promotion documentation. The Journal of Multimodal Rhetorics, 4(1).
• Between two parts of the entry: records of crystals:
=====
1.
Computed powder diffraction line list
Compound: Sr3Al4Pt4
Radiation: Cu Kα, 1.54184 Å
Structure: a cell relaxed with PBE
Peak positions follow from Bragg's law for the DFT cell and can differ from measured ones.

Principal peaks in the range 5° ≤ 2θ ≤ 70°, by angle:
2theta  I (rel.)
22.5  16.5
27.7  100.0
32.0  74.6
35.9  45.6
42.8  22.5
48.9  70.8
54.5  24.8
57.1  14.6
59.7  10.5
69.3  20.2

Cell and atoms:
```
Sr3Al4Pt4
1.0
-3.9510 3.9510 3.9510
3.9510 -3.9510 3.9510
3.9510 3.9510 -3.9510
Sr Al Pt
3 4 4
direct
0.0000 0.5000 0.5000
0.5000 0.0000 0.5000
0.5000 0.5000 0.0000
0.0000 0.0000 0.7426
0.0000 0.7426 0.0000
0.2574 0.2574 0.2574
0.7426 0.0000 0.0000
0.0000 0.0000 0.3746
0.0000 0.3746 0.0000
0.3746 0.0000 0.0000
0.6254 0.6254 0.6254
```



2.
Computed powder diffraction line list
Compound: Ho4ErSe5
Radiation: Cu Kα, 1.54184 Å
Structure: a cell relaxed with PBE
Peak positions follow from Bragg's law for the DFT cell and can differ from measured ones.

Principal peaks in the range 5° ≤ 2θ ≤ 70°, by angle:
2theta  I (rel.)
27.0  30.3
31.1  45.4
31.3  89.7
44.7  100.0
52.9  5.0
53.1  10.0
55.6  35.1
64.9  5.5
65.2  10.8

Cell and atoms:
```
Ho4ErSe5
1.0
-4.5229 4.5229 2.8717
4.5229 -4.5229 2.8717
4.5229 4.5229 -2.8717
Ho Er Se
4 1 5
direct
0.0991 0.3011 0.4002
0.3011 0.9009 0.2019
0.6989 0.0991 0.7981
0.9009 0.6989 0.5998
0.5000 0.5000 0.0000
0.0000 0.0000 0.0000
0.2015 0.6003 0.8019
0.3997 0.2015 0.6012
0.6003 0.7985 0.3988
0.7985 0.3997 0.1981
```



3.
Computed powder diffraction line list
Compound: Sr4Te3I
Radiation: Cu Kα, 1.54184 Å
Structure: a cell relaxed with PBE
Peak positions follow from Bragg's law for the DFT cell and can differ from measured ones.

Principal peaks in the range 5° ≤ 2θ ≤ 70°, by angle:
2theta  I (rel.)
23.0  5.6
26.6  100.0
38.0  77.0
44.9  2.9
47.0  27.7
54.8  4.3
54.9  8.8
62.0  23.8
62.1  12.1
68.7  26.3

Cell and atoms:
```
Sr4Te3I
1.0
6.6866 0.0000 0.0000
0.0000 6.6866 0.0000
0.0000 0.0000 13.4039
Sr Te I
8 6 2
direct
0.0000 0.0000 0.2417
0.0000 0.0000 0.7583
0.0000 0.5000 0.0000
0.0000 0.5000 0.5000
0.5000 0.0000 0.0000
0.5000 0.0000 0.5000
0.5000 0.5000 0.2583
0.5000 0.5000 0.7417
0.0000 0.0000 0.0000
0.0000 0.5000 0.2500
0.0000 0.5000 0.7500
0.5000 0.0000 0.2500
0.5000 0.0000 0.7500
0.5000 0.5000 0.5000
0.0000 0.0000 0.5000
0.5000 0.5000 0.0000
```

~~~~~

Structure and calculated PXRD pattern of LiInMo3O8 (a structure optimized by DFT (GGA+U); a wavelength of 1.5418 Å).
Peak positions follow from Bragg's law for the DFT cell and can differ from measured ones.

Most intense lines, 5° ≤ 2θ ≤ 70°, sorted by position:
2θ = 17.44°, intensity 35, (0 0 1)
2θ = 24.81°, intensity 100, (1 0 1)
2θ = 35.45°, intensity 79, (2 0 0)
2θ = 39.78°, intensity 21, (0 2 1)
2θ = 50.89°, intensity 56, (0 2 2)
2θ = 51.00°, intensity 29, (2 1 1)
2θ = 57.55°, intensity 14, (0 3 1)
2θ = 63.69°, intensity 16, (2 2 0)

Structural model:
```
data_LiInMo3O8
_space_group_name_H-M_alt 'P 1'
_space_group_IT_number 1
=====
De Hertogh, L.B., Lane, L., & Ouellette, J. (2019). Feminist leanings: Tracing technofeminist and intersectional practices and values in three decades of Computers and Composition. Computers and Composition, 51, 4-13.
De Hertogh, L.B. (2018). Feminist digital research methodology for rhetoricians of health and medicine. Journal of Business and Technical Communication, 32(4), 480-503.
De Hertogh, L.B. (2018). Vanishing acts: Theorizing digital iterations in feminist archives. Enculturation: A Journal of Rhetoric, Writing, and Culture, 26.
The text is interrupted by crystal structures:
<<<
Calculated powder diffractogram of YMg6AlO8 for Cu Ka, from DFT lattice parameters and positions (GGA-PBE).

Top 10 peaks for 2θ = 10–90°, in order of rising 2θ:
| two_theta | intensity |
| --- | --- |
| 20.02 | 16.0 |
| 22.31 | 27.5 |
| 30.15 | 14.6 |
| 34.76 | 36.9 |
| 39.68 | 48.8 |
| 40.69 | 100.0 |
| 58.14 | 55.7 |
| 58.90 | 29.4 |
| 70.25 | 15.9 |
| 73.38 | 25.3 |

Structural model:
a b c (Å): 4.435 4.435 9.085
angles (deg): 90.00 90.00 90.00
Space group P4/mmm (No. 123)
Asymmetric unit:
Y 0.000 0.000 0.000 (multiplicity 1)
Mg 0.000 0.000 0.500 (multiplicity 1)
Mg 0.000 0.500 0.270 (multiplicity 4)
Mg 0.500 0.500 0.500 (multiplicity 1)
Al 0.500 0.500 0.000 (multiplicity 1)
O 0.000 0.000 0.261 (multiplicity 2)
O 0.000 0.500 0.000 (multiplicity 2)
O 0.000 0.500 0.500 (multiplicity 2)
O 0.500 0.500 0.276 (multiplicity 2)

Calculated powder diffractogram of Rb3AsSe4 for Cu Ka, from DFT lattice parameters and positions (GGA-PBE).

Top 10 peaks for 2θ = 10–90°, in order of rising 2θ:
| two_theta | intensity |
| --- | --- |
| 14.57 | 38.6 |
| 24.74 | 36.3 |
| 26.79 | 51.6 |
| 27.21 | 36.9 |
| 28.52 | 43.5 |
| 29.52 | 100.0 |
| 30.76 | 33.9 |
| 35.25 | 41.1 |
| 47.36 | 37.4 |
| 53.01 | 29.4 |

Structural model:
a b c (Å): 9.843 11.515 10.427
angles (deg): 90.00 90.00 90.00
Space group Pnma (No. 62)
Asymmetric unit:
Rb 0.062 0.044 0.194 (multiplicity 8)
Rb 0.148 0.750 0.421 (multiplicity 4)
As 0.234 0.750 0.977 (multiplicity 4)
Se 0.024 0.750 0.090 (multiplicity 4)
Se 0.143 0.079 0.527 (multiplicity 8)
Se 0.187 0.750 0.755 (multiplicity 4)

Calculated powder diffractogram of MgZnS2 for Cu Ka, from DFT lattice parameters and positions (GGA-PBE).

Top 10 peaks for 2θ = 10–90°, in order of rising 2θ:
| two_theta | intensity |
| --- | --- |
| 15.92 | 16.5 |
| 22.56 | 12.0 |
| 27.73 | 100.0 |
| 36.04 | 5.9 |
| 39.63 | 5.9 |
| 46.08 | 65.9 |
| 54.63 | 40.2 |
| 67.21 | 9.9 |
| 74.18 | 15.3 |
| 85.35 | 20.3 |

Structural model:
a b c (Å): 3.941 3.941 5.568
angles (deg): 90.00 90.00 90.00
Space group P-4m2 (No. 115)
Asymmetric unit:
Mg 0.000 0.000 0.000 (multiplicity 1)
Zn 0.500 0.500 0.500 (multiplicity 1)
S 0.000 0.500 0.262 (multiplicity 2)

Calculated powder diffractogram of ZrAlW4 for Cu Ka, from DFT lattice parameters and positions (GGA-PBE).

Top 10 peaks for 2θ = 10–90°, in order of rising 2θ:
| two_theta | intensity |
| --- | --- |
| 20.34 | 68.7 |
| 39.53 | 100.0 |
| 41.36 | 77.1 |
| 48.14 | 26.1 |
| 52.77 | 17.5 |
| 63.98 | 32.6 |
| 70.45 | 32.5 |
| 74.20 | 12.8 |
| 83.91 | 11.6 |
| 85.11 | 30.1 |

Structural model:
a b c (Å): 7.561 7.561 7.561
angles (deg): 90.00 90.00 90.00
Space group F-43m (No. 216)
Asymmetric unit:
Zr 0.000 0.000 0.000 (multiplicity 4)
Al 0.250 0.250 0.750 (multiplicity 4)
W 0.124 0.124 0.376 (multiplicity 16)

Calculated powder diffractogram of HoMnSi for Cu Ka, from DFT lattice parameters and positions (GGA-PBE).

Top 10 peaks for 2θ = 10–90°, in order of rising 2θ:
| two_theta | intensity |
| --- | --- |
| 24.78 | 55.8 |
>>>
Here the text continues:
De Hertogh, L.B. (2015). Reinscribing a new normal: Pregnancy, disability, and health 2.0. Ada: A Journal of Gender, New Media, & Technology, 7.
Refereed Book Chapters
De Hertogh, L.B. (2020). Interrogating race-based health disparities in Black Women Do Breastfeed. In Erin Frost & Michelle Eble (Eds.), Interrogating Gendered Pathologies (pp. 188-204). Louisville, CO: Utah State University Press.
Novotny, M. & De Hertogh, L.B. (2019). Rhetorics of self-disclosure: A feminist framework for understanding infertility activism. In Jamie White-Farnham, Bryna Siegel Finer, & Cathryn Molloy (Eds.), Women's Health Advocacy: Rhetorical Ingenuity for the 21st Century (pp. 59-72). Philadelphia, PA: Routledge Press.
Refereed Conference Proceedings
De Hertogh, L.B., & DeVasto, D. (2020). User experience as participatory health communication pedagogy. SIGDOC: Special Interest Group on Design of Communication.